Facebook Censorship of CASF

Robert W. Endlich

(Calculated molecules, as found in the file)
********
# 1
{"formula": "C2H10NS2", "method": "the ωB97M-V functional and the def2-TZVPD basis", "species": ["S", "S", "C", "H", "H", "H", "H", "C", "N", "H", "H", "H", "H", "H", "H"], "coordinates": [[6.884357, -0.131620, 1.918509], [6.432888, -1.262550, 0.271060], [7.842587, -0.934530, -0.804870], [7.626437, -1.038880, 2.588359], [7.647697, -1.443320, -1.763909], [8.783787, -1.326179, -0.383730], [7.965577, 0.144500, -0.997690], [-0.603740, 1.112530, 1.738729], [0.088220, 2.038189, 0.787680], [-0.848360, 0.160890, 1.237560], [-1.539279, 1.568119, 2.104539], [0.044930, 0.897590, 2.604539], [0.971250, 1.612889, 0.439850], [-0.519650, 2.243939, -0.030700], [0.321020, 2.937249, 1.255769]], "atomic_forces_ev_per_a": [[0.064, -0.135, 0.069], [0.049, 0.052, -0.017], [0.586, 0.199, -0.394], [-0.093, 0.120, -0.056], [0.012, 0.153, 0.386], [-0.490, 0.093, -0.113], [-0.159, -0.467, 0.121], [-0.563, -0.754, 0.776], [0.204, 0.278, -0.285], [0.221, 0.563, 0.066], [0.518, -0.049, -0.312], [-0.168, 0.240, -0.532], [-0.577, 0.380, 0.182], [0.507, -0.079, 0.530], [-0.111, -0.593, -0.421]], "mulliken_charge": [-0.22, -0.06, -0.73, 0.17, 0.26, 0.29, 0.29, -0.73, -0.35, 0.32, 0.33, 0.33, 0.37, 0.37, 0.37], "homo_ha": -0.407, "relative_energy_ev": 0.684, "energy_ev": -25389.83025, "multiplicity": 1, "total_charge": 1}

***

# 2
{"formula": "C2H10O2S", "method": "the ωB97M-V functional and the def2-TZVPD basis", "species": ["C", "C", "S", "H", "H", "H", "H", "H", "H", "O", "H", "H", "O", "H", "H"], "coordinates": [[-1.703463, 0.676485, 0.817683], [-1.268318, -0.306036, 1.939653], [0.434949, -0.831792, 1.660493], [-1.651222, 0.167361, -0.145855], [-0.953315, 1.436782, 0.865971], [-2.722453, 1.014212, 0.981522], [-1.428448, 0.196094, 2.874303], [-1.930910, -1.172069, 1.951254], [0.831308, -0.798715, 2.938901], [-1.363421, 4.813064, -4.600643], [-1.184464, 5.757216, -4.522705], [-2.285116, 4.676208, -4.351337], [3.426781, -3.980503, -0.630659], [3.435394, -3.101705, -0.240434], [2.518504, -4.274429, -0.754983]], "atomic_forces_ev_per_a": [[0.406, -1.521, 0.570], [-1.226, 0.057, -0.944], [0.180, 0.041, 0.238], [0.005, 0.167, -0.065], [0.020, 0.973, -0.368], [0.040, 0.264, 0.029], [0.433, 0.173, 0.601], [0.116, -0.096, -0.033], [0.040, -0.068, -0.037], [0.015, -0.050, -0.008], [-0.199, -0.155, 0.036], [0.184, 0.205, -0.028], [0.339, -0.280, -0.128], [-0.397, -0.102, -0.044], [0.045, 0.393, 0.180]], "mulliken_charge": [-1.08, -0.41, -0.24, 0.30, 0.34, 0.31, 0.33, 0.32, 0.13, -0.64, 0.32, 0.32, -0.64, 0.32, 0.32], "smiles": "CCS.O.O", "homo_ha": -0.338, "relative_energy_ev": 0.467, "energy_ev": -17166.02696, "multiplicity": 1}

***

# 3
********

 [So, it appears as if the Facebook part of Big Tech is dredging newspapers’ opinion pages, looking for people who criticize the polemic of human-caused CO2-fueled global warming catastrophe.]

This post contains a series of four documents, starting with a 3 May 2019 Letter to the Editor of the Las Cruces Sun-News by CASF member, Fran Lavery, and ends with Facebook censoring my views.

Face Book Clip Art

Intermediate steps include a 12 May 2019 Letter to the Editor of the Sun News from Climate Activist Peter Kuntz of Northglenn, Colorado, and my Comment, taking Kuntz to task, and now, recently discovered (June 2021) Facebook actions to prevent my Comment from achieving widespread notice.

Today’s post shows Facebook is censoring views it does not like.

The sequence below brings directly to CASF, our members and friends, and other curious individuals, proof that Big Tech, rather than fostering Continue reading “Facebook Censorship of CASF”

The many follies of Biden’s Climate Plan and his Earth Day Anniversary Climate Summit

Robert W. Endlich

The notion that the USA can cut in half its CO2 emissions from the peak emissions that occurred here in 2005 is fantasy.

President Joe Biden held a virtual climate summit on the fifty-first anniversary of the first Earth Day, originally held 22 April 1970.  When confronted with facts, measurements, observations, and data concerning
climate history, Biden’s climate plan is based on trying to prevent temperature increases which have occurred naturally many times in the recent past.  This post will explore some of the most ill-informed and ignorant statements, plans, and actions, which all together will have no measurable impact on the climate, and will only cause economic harm to us, Earth’s human residents.


Let’s start with the fact that since that first Earth Day, not a single Continue reading “The many follies of Biden’s Climate Plan and his Earth Day Anniversary Climate Summit”

The 2019 Heat Wave in Europe and Beyond—What the Media Didn’t Tell You

Robert W. Endlich
Thermometer inside Stevenson screen

The summer of 2019 was hot in Europe, but the claims of new extreme record maximum temperatures, of sled dogs in Greenland mushing through never-heard-of-before water on the ice sheet, and of direct links to human-caused CO2-fueled use of inexpensive energy are wrong, incorrect, and without due diligence by the writers of such drivel.  Herein is a view you didn’t see in the Main-Stream Media.

The CNN Photo

This post starts with a CNN story with this breathless paragraph,

“The incredible photo he took, of sled dogs ankle deep in a wide expanse of Continue reading “The 2019 Heat Wave in Europe and Beyond—What the Media Didn’t Tell You”

Global Warming? An Israeli Astrophysicist Provides Alternative View That Is Not Easy To Reject

Doron Levin

“Global warming is not a purely scientific issue any more,” he said.  “It has repercussions for society.  It has also taken on a moralistic, almost religious quality.  If you believe what everyone believes, you are a good person. If you don’t, you are a bad person.  Who wants to be a sinner?”

[This interview article about ‘skeptic’ climate scientist Nir Shaviv was published and then quickly pulled from Forbes.com.  We discovered the article after it was reprinted by Jim Lakely, Communications Director  of the Heartland Institute.  We are reprinting it here under the fair use doctrine.  Ed.]

The U.S. auto industry and regulators in California and Washington appear

Astrophysicist, Nir Shaviv

deadlocked over stiff Obama-era fuel-efficiency standards that automakers oppose and the Trump administration have vowed to roll back – an initiative that has environmental activists up in arms.

California and four automakers favor compromise, while the Environmental Protection Agency (EPA) supports the president’s position that the federal standards are too strict. The EPA argues that forcing automakers to build more fuel efficient cars will make them less Continue reading “Global Warming? An Israeli Astrophysicist Provides Alternative View That Is Not Easy To Reject”

About those stories of, “Declining Arctic Sea Ice Extent”

By Robert Endlich

There are numerous stories in the media about “Declining Arctic Sea Ice Extent.” This post is the story of what I found when I started looking into the specifics cited in some of those stories.

Did NCA4 Pick Some Cherries? Photo by Pixabay

With a background in geology and as an operational meteorologist with 30 years in research and development, at the outset I became suspicious when periods of record cited as ‘lines of evidence’ were well short of the characteristic 60-year time period of naturally occurring weather events which influence my locale, New Mexico. The 60-year weather cycles which dominate North America are the Atlantic Multidecadal Oscillation for temperatures, and the Pacific Decadal Oscillation for rainfall, especially in the Mountain West of the USA, more of which is described here.

Some of the loudest and shrillest cries of, “Declining Arctic Sea Ice Extent,” come from our own Government in the Fourth National Climate Assessment, NCA4. Some of the most disturbing cries come from the Continue reading “About those stories of, “Declining Arctic Sea Ice Extent””